{"formula": "MgW4O12", "functional": "GGA+U", "state": "optimized geometry", "cell": [[-4.921, 2.134, -0.331], [-1.010, -1.545, 5.048], [2.784, 6.831, 2.647]], "species": ["Mg", "W", "W", "W", "W", "O", "O", "O", "O", "O", "O", "O", "O", "O", "O", "O", "O"], "frac_coords": [[0.250, 0.750, 0.500], [0.250, 0.250, 0.756], [0.750, 0.750, 0.748], [0.750, 0.750, 0.244], [0.250, 0.250, 0.252], [0.423, 0.565, 0.724], [0.942, 0.447, 0.753], [0.558, 0.053, 0.753], [0.077, 0.935, 0.724], [0.250, 0.250, 0.992], [0.750, 0.750, 0.496], [0.750, 0.750, 0.008], [0.250, 0.250, 0.504], [0.947, 0.058, 0.247], [0.435, 0.923, 0.276], [0.065, 0.577, 0.276], [0.553, 0.442, 0.247]], "magmom_total_mub_per_cell": 2.0}


{"formula": "Li2VF5", "functional": "GGA+U", "state": "optimized geometry", "cell": [[5.945, 0.000, 0.000], [0.000, 7.703, 0.000], [0.000, 0.000, 17.381]], "species": ["Li", "Li", "Li", "Li", "Li", "Li", "Li", "Li", "Li", "Li", "Li", "Li", "Li", "Li", "Li", "Li", "V", "V", "V", "V", "V", "V", "V", "V", "F", "F", "F", "F", "F", "F", "F", "F", "F", "F", "F", "F", "F", "F", "F", "F", "F", "F", "F", "F", "F", "F", "F", "F", "F", "F", "F", "F", "F", "F", "F", "F", "F", "F", "F", "F", "F", "F", "F", "F"], "frac_coords": [[0.487, 0.265, 0.472], [0.487, 0.765, 0.028], [0.250, 0.909, 0.647], [0.250, 0.409, 0.853], [0.250, 0.875, 0.188], [0.250, 0.375, 0.312], [0.013, 0.265, 0.472], [0.013, 0.765, 0.028], [0.987, 0.735, 0.528], [0.987, 0.235, 0.972], [0.750, 0.091, 0.353], [0.750, 0.625, 0.688], [0.750, 0.125, 0.812], [0.750, 0.591, 0.147], [0.513, 0.735, 0.528], [0.513, 0.235, 0.972], [0.250, 0.927, 0.855], [0.250, 0.894, 0.375], [0.250, 0.427, 0.645], [0.250, 0.394, 0.125], [0.750, 0.606, 0.875], [0.750, 0.106, 0.625], [0.750, 0.573, 0.355], [0.750, 0.073, 0.145], [0.502, 0.239, 0.162], [0.502, 0.739, 0.338], [0.487, 0.053, 0.414], [0.487, 0.553, 0.086], [0.483, 0.609, 0.624], [0.483, 0.109, 0.876], [0.250, 0.755, 0.471], [0.250, 0.856, 0.966], [0.250, 0.977, 0.748], [0.250, 0.509, 0.223], [0.250, 0.477, 0.752], [0.250, 0.356, 0.534], [0.250, 0.009, 0.277], [0.250, 0.255, 0.029], [0.017, 0.609, 0.624], [0.017, 0.109, 0.876], [0.013, 0.053, 0.414], [0.013, 0.553, 0.086], [0.998, 0.239, 0.162], [0.998, 0.739, 0.338], [0.002, 0.761, 0.838], [0.002, 0.261, 0.662], [0.987, 0.947, 0.586], [0.987, 0.447, 0.914], [0.983, 0.891, 0.124], [0.983, 0.391, 0.376], [0.750, 0.644, 0.466], [0.750, 0.745, 0.971], [0.750, 0.245, 0.529], [0.750, 0.991, 0.723], [0.750, 0.491, 0.777], [0.750, 0.523, 0.248], [0.750, 0.023, 0.252], [0.750, 0.144, 0.034], [0.517, 0.391, 0.376], [0.517, 0.891, 0.124], [0.513, 0.947, 0.586], [0.513, 0.447, 0.914], [0.498, 0.761, 0.838], [0.498, 0.261, 0.662]], "magmom_total_mub_per_cell": 16.0}


{"formula": "CaMoO3", "functional": "GGA+U", "state": "optimized geometry", "cell": [[-0.980, -4.759, 2.588], [5.463, -1.585, -0.692], [1.896, 3.387, 6.979]], "species": ["Ca", "Ca", "Ca", "Ca", "Mo", "Mo", "Mo", "Mo", "O", "O", "O", "O", "O", "O", "O", "O", "O", "O", "O", "O"], "frac_coords": [[0.010, 0.048, 0.752], [0.514, 0.444, 0.249], [0.486, 0.556, 0.751], [0.990, 0.952, 0.248], [0.500, 0.000, 0.000], [0.000, 0.500, 0.000], [0.000, 0.500, 0.500], [0.500, 0.000, 0.500], [0.288, 0.310, 0.548], [0.810, 0.209, 0.443], [0.193, 0.794, 0.948], [0.698, 0.700, 0.056], [0.712, 0.690, 0.452], [0.190, 0.791, 0.557], [0.807, 0.206, 0.052], [0.302, 0.300, 0.944], [0.898, 0.458, 0.745], [0.398, 0.040, 0.243], [0.602, 0.960, 0.757], [0.102, 0.542, 0.255]], "magmom_total_mub_per_cell": 8.0}

Could you reproduce only the last part of the rows further up, starting with the line that has "[0.250, 0.250,"?

{"formula": "MgW4O12", "functional": "GGA+U", "state": "optimized geometry", "cell": [[-4.921, 2.134, -0.331], [-1.010, -1.545, 5.048], [2.784, 6.831, 2.647]], "species": ["Mg", "W", "W", "W", "W", "O", "O", "O", "O", "O", "O", "O", "O", "O", "O", "O", "O"], "frac_coords": [[0.250, 0.750, 0.500], [0.250, 0.250, 0.756], [0.750, 0.750, 0.748], [0.750, 0.750, 0.244], [0.250, 0.250, 0.252], [0.423, 0.565, 0.724], [0.942, 0.447, 0.753], [0.558, 0.053, 0.753], [0.077, 0.935, 0.724], [0.250, 0.250, 0.992], [0.750, 0.750, 0.496], [0.750, 0.750, 0.008], [0.250, 0.250, 0.504], [0.947, 0.058, 0.247], [0.435, 0.923, 0.276], [0.065, 0.577, 0.276], [0.553, 0.442, 0.247]], "magmom_total_mub_per_cell": 2.0}


{"formula": "Li2VF5", "functional": "GGA+U", "state": "optimized geometry", "cell": [[5.945, 0.000, 0.000], [0.000, 7.703, 0.000], [0.000, 0.000, 17.381]], "species": ["Li", "Li", "Li", "Li", "Li", "Li", "Li", "Li", "Li", "Li", "Li", "Li", "Li", "Li", "Li", "Li", "V", "V", "V", "V", "V", "V", "V", "V", "F", "F", "F", "F", "F", "F", "F", "F", "F", "F", "F", "F", "F", "F", "F", "F", "F", "F", "F", "F", "F", "F", "F", "F", "F", "F", "F", "F", "F", "F", "F", "F", "F", "F", "F", "F", "F", "F", "F", "F"], "frac_coords": [[0.487, 0.265, 0.472], [0.487, 0.765, 0.028], [0.250, 0.909, 0.647], [0.250, 0.409, 0.853], [0.250, 0.875, 0.188], [0.250, 0.375, 0.312], [0.013, 0.265, 0.472], [0.013, 0.765, 0.028], [0.987, 0.735, 0.528], [0.987, 0.235, 0.972], [0.750, 0.091, 0.353], [0.750, 0.625, 0.688], [0.750, 0.125, 0.812], [0.750, 0.591, 0.147], [0.513, 0.735, 0.528], [0.513, 0.235, 0.972], [0.250, 0.927, 0.855], [0.250, 0.894, 0.375], [0.250, 0.427, 0.645], [0.250, 0.394, 0.125], [0.750, 0.606, 0.875], [0.750, 0.106, 0.625], [0.750, 0.573, 0.355], [0.750, 0.073, 0.145], [0.502, 0.239, 0.162], [0.502, 0.739, 0.338], [0.487, 0.053, 0.414], [0.487, 0.553, 0.086], [0.483, 0.609, 0.624], [0.483, 0.109, 0.876], [0.250, 0.755, 0.471], [0.250, 0.856, 0.966], [0.250, 0.977, 0.748], [0.250, 0.509, 0.223], [0.250, 0.477, 0.752], [0.250, 0.356, 0.534], [0.250, 0.009, 0.277], [0.250, 0.255, 0.029], [0.017, 0.609, 0.624], [0.017, 0.109, 0.876], [0.013, 0.053, 0.414], [0.013, 0.553, 0.086], [0.998, 0.239, 0.162], [0.998, 0.739, 0.338], [0.002, 0.761, 0.838], [0.002, 0.261, 0.662], [0.987, 0.947, 0.586], [0.987, 0.447, 0.914], [0.983, 0.891, 0.124], [0.983, 0.391, 0.376], [0.750, 0.644, 0.466], [0.750, 0.745, 0.971], [0.750, 0.245, 0.529], [0.750, 0.991, 0.723], [0.750, 0.491, 0.777], [0.750, 0.523, 0.248], [0.750, 0.023, 0.252], [0.750, 0.144, 0.034], [0.517, 0.391, 0.376], [0.517, 0.891, 0.124], [0.513, 0.947, 0.586], [0.513, 0.447, 0.914], [0.498, 0.761, 0.838], [0.498, 0.261, 0.662]], "magmom_total_mub_per_cell": 16.0}


{"formula": "CaMoO3", "functional": "GGA+U", "state": "optimized geometry", "cell": [[-0.980, -4.759, 2.588], [5.463, -1.585, -0.692], [1.896, 3.387, 6.979]], "species": ["Ca", "Ca", "Ca", "Ca", "Mo", "Mo", "Mo", "Mo", "O", "O", "O", "O", "O", "O", "O", "O", "O", "O", "O", "O"], "frac_coords": [[0.010, 0.048, 0.752], [0.514, 0.444, 0.249], [0.486, 0.556, 0.751], [0.990, 0.952, 0.248], [0.500, 0.000, 0.000], [0.000, 0.500, 0.000], [0.000, 0.500, 0.500], [0.500, 0.000, 0.500], [0.288, 0.310, 0.548], [0.810, 0.209, 0.443], [0.193, 0.794, 0.948], [0.698, 0.700, 0.056], [0.712, 0.690, 0.452], [0.190, 0.791, 0.557], [0.807, 0.206, 0.052], [0.302, 0.300, 0.944], [0.898, 0.458, 0.745], [0.398, 0.040, 0.243], [0.602, 0.960, 0.757], [0.102, 0.542, 0.255]], "magmom_total_mub_per_cell": 8.0}